Work order.
It remains to search the calculation results below for the word "wavelength" and quote each line that has it.

Contents.
-- begin --
Structure and simulated powder X-ray diffraction pattern of Tb2MnBeO6 (the GGA+U geometry in Alexandria; CuKα).
No peak broadening, texture or thermal motion is included.

Peak list (10 most intense, 2θ from 10° to 80°, sorted by position)
- d 3.749, 2θ = 23.73°, rel. 50
- d 3.666, 2θ = 24.28°, rel. 29
- d 3.338, 2θ = 26.71°, rel. 23
- d 2.695, 2θ = 33.24°, rel. 19
- d 2.621, 2θ = 34.21°, rel. 100
- d 2.608, 2θ = 34.38°, rel. 27
- d 2.125, 2θ = 42.54°, rel. 26
- d 1.874, 2θ = 48.57°, rel. 22
- d 1.655, 2θ = 55.52°, rel. 26
- d 1.508, 2θ = 61.47°, rel. 22

Atomic structure:
```
Tb2MnBeO6
1.0
5.2167 0.0000 0.0000
0.0000 5.3908 0.0000
-5.2177 0.0000 7.3327
Tb Mn Be O
4 2 2 12
Direct
0.2386 0.0590 0.2506
0.2386 0.4410 0.7506
0.7614 0.5590 0.2494
0.7614 0.9410 0.7494
0.0000 0.0000 0.5000
0.0000 0.5000 0.0000
0.5000 0.0000 0.0000
0.5000 0.5000 0.5000
0.1634 0.2056 0.9572
0.1634 0.2944 0.4572
0.2515 0.7066 0.9563
0.2515 0.7934 0.4563
0.3378 0.0187 0.7562
0.3378 0.4813 0.2562
0.6622 0.5187 0.7438
0.6622 0.9813 0.2438
0.7485 0.2066 0.5437
0.7485 0.2934 0.0437
0.8366 0.7056 0.5428
0.8366 0.7944 0.0428
```

=====

The following is a calculated powder diffractogram of Ca2SnS4. It was derived from a cell relaxed with GGA-PBE, using a wavelength of 1.5418 Å.
Lines closer than 0.1° are merged.

Principal peaks in the range 15° ≤ 2θ ≤ 90°, by angle:
- (0 2 0), d 5.094, I = 32
- (1 1 1), d 4.980, I = 70
- (2 0 0), d 4.901, I = 37
- (0 3 1), d 3.057, I = 27
- (1 3 1), d 2.919, I = 28
- (2 0 2), d 2.854, I = 21
- (3 1 1), d 2.844, I = 22
- (0 4 0), d 2.547, I = 17
- (2 2 2), d 2.490, I = 100
- (4 0 0), d 2.450, I = 28
- (4 2 2), d 1.870, I = 20
- (0 2 4), d 1.660, I = 17

Structural model:
abc: 9.801 10.188 7.023
angles: 90.00 90.00 90.00
Space group Ama2 (No. 40)
Unique sites:
Ca  0.000  0.000  0.000
Ca  0.250  0.189  0.458
Sn  0.250  0.275  0.971
S  0.054  0.262  0.178
S  0.250  0.064  0.804
S  0.250  0.442  0.729

=====

# PmY
Simulated XRD peak list, copper Kα. Input: a PBE-relaxed structure.

Principal peaks in the range 2θ = 15–90°, most intense first:
Position (°2θ)  intensity
31.3  100
30.3  75
31.7  49
32.2  36
36.0  33
61.0  29
25.7  27
45.8  26
55.6  23
56.3  19

Cell and atoms:
```
PmY
1.0
3.585 0.000 0.000
0.000 13.238 0.000
0.000 0.000 5.641
Pm Y
4 4
direct
0.000 0.062 0.250
0.000 0.938 0.750
0.500 0.438 0.750
0.500 0.562 0.250
0.000 0.322 0.250
0.000 0.678 0.750
0.500 0.178 0.750
0.500 0.822 0.250
```

# Dy3Cu6Sn5
Simulated XRD peak list, copper Kα. Input: a PBE-relaxed structure.

Principal peaks in the range 2θ = 15–90°, most intense first:
Position (°2θ)  intensity
34.6  100
29.4  75
34.1  74
41.7  65
34.3  60
36.9  47
64.0  38
42.4  35
55.1  32
55.5  30

Cell and atoms:
```
Dy3Cu6Sn5
1.0
-2.166 4.967 6.393
2.166 -4.967 6.393
2.166 4.967 -6.393
Dy Cu Sn
3 6 5
direct
0.000 0.000 0.000
0.310 0.310 0.000
0.690 0.690 0.000
0.159 0.873 0.286
0.310 0.500 0.810
0.413 0.127 0.286
0.587 0.873 0.714
0.690 0.500 0.190
0.841 0.127 0.714
0.016 0.664 0.352
0.311 0.664 0.648
0.500 0.000 0.500
0.689 0.336 0.352
0.984 0.336 0.648
```

# TaBe3B
Simulated XRD peak list, copper Kα. Input: a PBE-relaxed structure.

Principal peaks in the range 2θ = 15–90°, most intense first:
Position (°2θ)  intensity
31.3  100
28.1  90
40.6  87
44.5  70
38.0  52
30.8  51
20.4  44
27.7  32
46.1  29
55.1  26

Cell and atoms:
```
TaBe3B
1.0
-1.613 1.640 8.714
1.613 -1.640 8.714
1.613 1.640 -8.714
Ta Be B
2 6 2
direct
0.335 0.085 0.250
0.665 0.915 0.750
0.047 0.797 0.250
0.221 0.471 0.750
0.453 0.703 0.750
0.547 0.297 0.250
0.779 0.529 0.250
0.953 0.203 0.750
0.113 0.363 0.750
0.887 0.637 0.250
```

# KRb12Na6
Simulated XRD peak list, copper Kα. Input: a PBE-relaxed structure.

Principal peaks in the range 2θ = 15–90°, most intense first:
Position (°2θ)  intensity
25.1  100
24.7  91
18.3  69
23.1  69
24.2  51
25.9  49
41.3  25
45.0  23
26.9  20
47.1  20

Cell and atoms:
```
KRb12Na6
1.0
7.622 4.401 6.716
-7.622 4.401 6.716
0.000 -8.801 6.716
K Rb Na
1 12 6
direct
-- stop --

Here it is.
The following is a calculated powder diffractogram of Ca2SnS4. It was derived from a cell relaxed with GGA-PBE, using a wavelength of 1.5418 Å.